Contracts are an essential part of conducting business in today’s world. They are legally binding agreements between two parties outlining the terms and conditions of a transaction. However, not all contracts are created equal. To be valid, a contract must meet specific criteria. In this article, we will explore the terms that must be present for a contract to be valid.

Misplaced data records.
ORCA calculation (ωB97M-V/def2-TZVPD) on an isolated molecule of C24H32N4O6.

Computed properties:
* F_max: 0.6 eV/Å
* E_HOMO: -0.320 hartree
* ΔE to the lowest compared entry with this formula, charge and spin: 21.2 kcal per mole
* Kohn-Sham gap: 9.3 eV
* multiplicity: 1
* E: -1604.306701 Eh

Each line ends with the Löwdin charge.
Element x y z (Å)
C (-7.930, -0.115, 0.979)  -0.062
C (-6.603, -0.102, 1.724)  -0.223
H (-6.204, -1.119, 1.797)  0.120
H (-6.716, 0.326, 2.723)  0.122
O (-5.643, 0.728, 1.077)  -0.016
C (-4.989, 0.167, 0.030)  -0.539
O (-5.123, -0.988, -0.304)  0.085
N (-4.195, 1.054, -0.611)  -0.039
C (-3.875, 2.369, -0.102)  -0.132
H (-4.608, 2.646, 0.653)  0.123
C (-2.460, 2.381, 0.481)  -0.104
H (-2.205, 3.386, 0.818)  0.122
H (-2.415, 1.706, 1.339)  0.124
C (-1.461, 1.921, -0.587)  -0.311
N (-0.110, 1.873, -0.078)  0.107
C (0.862, 2.725, -0.482)  -0.443
O (0.631, 3.725, -1.134)  0.072
C (2.243, 2.336, -0.078)  -0.122
C (3.205, 3.323, 0.087)  -0.003
C (4.515, 2.992, 0.382)  0.001
C (4.894, 1.659, 0.479)  -0.222
C (3.935, 0.650, 0.287)  -0.105
C (2.625, 1.001, 0.032)  0.034
H (1.899, 0.219, -0.126)  0.109
C (4.386, -0.787, 0.362)  -0.072
N (3.429, -1.733, -0.168)  -0.049
C (2.860, -2.651, 0.636)  -0.397
O (3.068, -2.742, 1.828)  0.080
C (1.923, -3.598, -0.126)  -0.166
N (1.102, -2.846, -1.056)  -0.005
C (1.591, -1.825, -1.770)  -0.444
O (0.925, -1.091, -2.471)  0.070
C (3.105, -1.691, -1.579)  -0.030
H (3.433, -0.740, -1.999)  0.141
H (3.604, -2.508, -2.118)  0.141
C (-0.307, -3.134, -0.875)  -0.113
C (-0.383, -3.547, 0.591)  -0.139
H (-0.398, -2.663, 1.230)  0.117
C (0.926, -4.316, 0.791)  -0.110
H (0.809, -5.355, 0.489)  0.118
H (1.279, -4.283, 1.821)  0.112
H (-1.260, -4.150, 0.809)  0.114
H (-0.600, -3.961, -1.531)  0.134
H (-0.899, -2.257, -1.132)  0.107
H (2.561, -4.312, -0.668)  0.164
H (4.554, -1.066, 1.408)  0.139
H (5.338, -0.889, -0.171)  0.140
O (6.159, 1.227, 0.739)  -0.082
C (7.172, 2.186, 0.936)  -0.076
H (7.316, 2.808, 0.047)  0.098
H (6.958, 2.825, 1.798)  0.098
H (8.080, 1.616, 1.128)  0.095
H (5.236, 3.782, 0.519)  0.105
H (2.912, 4.356, -0.021)  0.122
H (0.129, 1.093, 0.512)  0.136
C (-1.865, 0.542, -1.114)  -0.114
H (-1.176, 0.223, -1.899)  0.108
C (-3.297, 0.583, -1.644)  -0.123
H (-3.629, -0.410, -1.948)  0.124
H (-3.361, 1.264, -2.498)  0.133
H (-1.818, -0.178, -0.291)  0.118
H (-1.448, 2.651, -1.405)  0.153
H (-3.933, 3.079, -0.934)  0.132
H (-7.794, -0.558, -0.005)  0.075
H (-8.306, 0.899, 0.862)  0.077
H (-8.655, -0.703, 1.534)  0.076

ORCA calculation (ωB97M-V/def2-TZVPD) on the ion C4H9IN with charge +1 in a non-equilibrium geometry.

Computed properties:
* F_max: 5.2 eV/Å
* E_HOMO: -0.488 hartree
* ΔE to the lowest compared entry with this formula, charge and spin: 70.7 kcal per mole
* Kohn-Sham gap: 7.1 eV
* multiplicity: 1
* net charge: +1
* E: -509.890763 Eh

Each line ends with the Löwdin charge.
Element x y z (Å)
C (0.728, 0.112, 1.205)  -0.295
C (1.682, -0.613, 0.177)  -0.683

Offer and Acceptance

The first term that must be present for a contract to be valid is an offer and acceptance. An offer is defined as a proposal made by one party to another, expressing their willingness to perform a particular task or provide a service. The acceptance is the other party agreeing to the terms outlined in the offer. If either the offer or acceptance is missing, the contract is not valid.


Consideration is the value that each party agrees to exchange as part of the contract. This can come in the form of cash, goods, or services. Consideration is essential to form a contract and must be agreed upon by both parties. Without adequate consideration, a contract cannot be formed.

Legal Capacity

To form a contract, both parties must have the legal capacity to enter into an agreement. This means they must be of legal age and have the mental capacity to understand the terms of the contract. If one or both parties lack the legal capacity to enter into a contract, the agreement is not valid.

Mutual Consent

Mutual consent means that both parties must understand the terms of the contract and agree to them. If either party is misled or coerced into entering into a contract, it is not valid. Both parties must fully understand the terms of the agreement and agree to them without any pressure or misunderstanding.

Legality of the Subject Matter

The subject matter of the contract must be legal for the agreement to be valid. If the subject matter of the contract is illegal, immoral, or against public policy, the agreement is not valid. For example, a contract to sell illegal drugs is not valid.


In conclusion, for a contract to be valid, all the terms must be present. These include an offer and acceptance, consideration, legal capacity, mutual consent, and legality of the subject matter. It is essential to ensure that all these terms are present before entering into any contractual agreement. By following these requirements, both parties can enter into a legally binding agreement that protects their rights and interests. As a business owner or entrepreneur, it is crucial to understand these terms to protect your business and avoid any legal implications that may arise.